
Showing posts from May, 2014

The Invitation

An extremely wealthy man of great esteem was throwing the most spectacular party this world has ever seen. He sent invitations to all of his friends, noting that the invitation card would need to be presented at the entry gate to his estate. A man showed up to this extravaganza without the invitation and was turned away. Indignant, he hurled obscenities at the servants and asked that they pass on his sentiments to the wealthy man for having such stringent rules. However, those that presented the invitation were allowed entrance and praised the wealthy man’s generosity. Did the man turned away at the gate have a right to enter the estate or was it within the wealthy man’s right to accept only those who presented his invitation? Of course, the wealthy man had no obligation to provide open access to just anyone and everyone. So why was the indignant man so embittered? Apparently, he felt entitled to be at the party despite the fact that he disrespected the wealthy man’s terms for en

# Here the page breaks off for materials data
~~~
Entry 1:
8
Lattice="-0.384 -4.056 -0.806 6.981 -0.311 -1.762 -0.722 -1.356 7.167" Properties=species:S:1:pos:R:3 comment="Ca2PrDySe4 PBE-GGA relaxed" e_tot_ev_per_atom=-5.30 pbc="T T T"
Ca -0.553 -2.706 3.180
Ca 3.129 -0.834 2.703
Pr 3.298 -2.184 -1.284
Dy 0.000 0.000 0.000
Se 1.317 -2.441 0.955
Se 4.558 -3.283 3.644
Se 1.138 -1.085 4.916
Se 5.121 -0.582 0.490

Entry 2:
5
Lattice="5.028 0.000 0.000 0.000 5.028 0.000 0.000 0.000 4.004" Properties=species:S:1:pos:R:3 comment="Y2MnSbC PBE-GGA relaxed" e_tot_ev_per_atom=-7.57 pbc="T T T"
Y 0.000 2.514 0.000
Y 2.514 0.000 0.000
Sb 2.514 2.514 2.002
C 0.000 0.000 0.000
Mn 0.000 0.000 2.002

Entry 3:
8
Lattice="-4.185 0.019 3.119 -4.613 -1.639 -1.812 -1.097 -8.484 2.947" Properties=species:S:1:pos:R:3 comment="Tm4Cd2InHg PBE-GGA relaxed" e_tot_ev_per_atom=-3.23 ef_ev_per_atom=-0.387 pbc="T T T"
Tm -4.268 -7.992 3.057
Tm -8.101 -4.634 2.260
Tm -1.793 -5.470 1.994
Tm -5.627 -2.112 1.198
Cd -7.412 -7.615 3.203
Cd -2.482 -2.488 1.052
In 0.000 0.000 0.000
Hg -4.947 -5.052 2.127

Entry 4:
3
Lattice="3.512 0.000 0.000 0.000 3.512 0.000 -1.756 -1.756 6.462" Properties=species:S:1:pos:R:3 comment="LaErRh PBE-GGA relaxed" e_tot_ev_per_atom=-6.13 relative_energy_mev_per_atom=104.5 ef_ev_per_atom=-0.516 pbc="T T T"
Er 0.000 0.000 3.761
Rh 1.756 1.756 2.285
La 0.000 0.000 0.416

Entry 5:
4
Lattice="4.410 0.000 0.000 2.205 3.819 0.000 2.205 1.273 13.955" Properties=species:S:1:pos:R:3 comment="Rb2SrHg PBE-GGA relaxed" e_tot_ev_per_atom=-0.93 ef_ev_per_atom=0.054 pbc="T T T"
Sr 0.000 0.000 0.000
Hg 4.410 2.546 6.978
Rb 2.205 1.273 9.656
Rb 6.615 3.819 4.299

Entry 6:
12
Lattice="-0.057 0.455 -7.024 5.136 -3.293 -0.255 -6.223 -6.188 3.177" Properties=species:S:1:pos:R:3 comment="Tb3Tm2Sc PBE-GGA relaxed" e_tot_ev_per_atom=-4.84 relative_energy_mev_per_atom=0.0 ef_ev_per_atom=0.021 pbc="T T T"
Tb 1.234 -0.427 -6.183
Tb 3.844 -2.411 -1.097
Tb -1.950 -2.120 0.769
Tb -1.748 -5.373 -2.971
Tb 0.603 -3.652 -1.132
Tb 0.806 -6.905 -4.871
Tm 0.624 -3.423 -4.622
Tm -1.930 -1.889 -2.766
Tm 0.785 -7.137 -1.336
Tm -1.768 -5.602 0.519
Sc 3.816 -2.187 -4.558
Sc 1.262 -0.651 -2.722

Entry 7:
12
Lattice="5.714 0.000 0.000 0.000 5.670 0.000 0.000 -2.835 6.525" Properties=species:S:1:pos:R:3 comment="TbGaCuPt3 PBE-GGA relaxed" e_tot_ev_per_atom=-5.59 ef_ev_per_atom=-0.610 pbc="T T T"
Tb 4.285 0.000 4.275
Tb 1.428 2.835 2.250
Ga 1.428 0.000 4.908
Ga 4.285 2.835 1.618
Cu 1.428 2.835 4.910
Cu 4.285 0.000 1.615
Pt 1.428 0.000 2.407
Pt 0.000 1.391 0.000
Pt 2.857 4.279 0.000
Pt 2.857 1.391 0.000
Pt 0.000 4.279 0.000
Pt 4.285 2.835 4.118

Entry 8:
20
Lattice="10.003 0.000 1.689 0.000 7.370 0.000 2.313 0.000 8.208" Properties=species:S:1:pos:R:3 comment="Pm3NpSn6 PBE-GGA relaxed" e_tot_ev_per_atom=-5.57 ef_ev_per_atom=-0.454 pbc="T T T"
Pm 6.741 7.137 6.996
Pm 5.002 3.685 0.844
Pm 5.576 0.233 2.902
Pm 0.582 3.918 2.047
Pm 1.157 0.000 4.104
Pm 11.734 3.452 7.850
Np 6.158 3.685 4.949
Np 0.000 0.000 0.000
Sn 9.444 1.048 8.317
Sn 8.640 1.840 5.372
~~~

Values - Priorities in Relationships

Thinking about the Kingdom values we are called to represent, I’ve come to the conclusion that nothing is more important than relationship. God wants a relationship with each of us, desiring a close, on-going walk with us. Only He can fill me to overflowing with His Love (24x7x365!) while at the same time filling countless others... never taking His eyes off each of us... showing the same intense passion for all His children. It’s His desire for each of us to reflect that same love to others, especially other believers (John 15:12), but to non-believers as well… don’t forget the great commission to make disciples and preach the Good News of His love and salvation to all peoples, tribes and nations! This world has so many needs, and while we’re each called to minister to the needs of others, no one can do everything. It’s true: I can do all things through Christ, Who strengthens me (Phil 4:13), and I can learn to be all things to all people (1 Cor 9:22), but we can only understand

• These calculated crystals were left in the entry by mistake:
<<<
Entry 1:
First-principles (PBE) data for an optimized crystal structure of CsInBr3, as listed in Alexandria.

Results
Calculated volume in Å³/f.u.: 244.89
Magnetic moment in μB per cell: 0.00
N(E_F) in states/eV/cell: 4.52
E_form (uncorrected) in meV per atom: -931

abc: 6.0473 6.0473 26.7862
angles: 90.00 90.00 90.00
Last column: nearest neighbours and their distance in Å.
Space group I-4m2 (No. 119)
Symmetry-distinct sites (fractional):
Cs 0.0000 0.0000 0.0895 [4 per cell]  8 Br 3.69-4.04
In 0.0000 0.0000 0.5000 [2 per cell]  4 Br 3.04
In 0.0000 0.5000 0.2500 [2 per cell]  4 Br 3.17
Br 0.0000 0.2462 0.3536 [8 per cell]  2 Br 2.98-3.07, 1 In 3.17
Br 0.0000 0.5000 0.5107 [4 per cell]  2 In 3.04

---

Entry 2:
First-principles (PBE) data for an optimized crystal structure of CsInBr3, as listed in Alexandria.

Results
Calculated volume in Å³/f.u.: 270.84
Magnetic moment in μB per cell: 0.00
N(E_F) in states/eV/cell: 1.77
E_form (uncorrected) in meV per atom: -861

abc: 5.7366 5.7366 32.9200
angles: 90.00 90.00 90.00
Last column: nearest neighbours and their distance in Å.
Space group I-4m2 (No. 119)
Symmetry-distinct sites (fractional):
Cs 0.0000 0.0000 0.0000 [2 per cell]  4 Br 3.50
Cs 0.0000 0.5000 0.2500 [2 per cell]  4 Br 3.52
In 0.0000 0.5000 0.6411 [4 per cell]  6 Br 3.26-3.53
Br 0.0000 0.0000 0.3119 [4 per cell]  2 In 3.26, 2 Cs 3.52
Br 0.0000 0.2523 0.0967 [8 per cell]  2 Br 2.84-2.90

---

Entry 3:
First-principles (PBE) data for an optimized crystal structure of CsInBr3, as listed in Alexandria.

Results
Calculated volume in Å³/f.u.: 235.08
Magnetic moment in μB per cell: 0.00
N(E_F) in states/eV/cell: 0.00
E_form (uncorrected) in meV per atom: -1234

abc: 7.6608 7.8072 9.1737
angles: 89.32 68.13 68.86
Last column: nearest neighbours and their distance in Å.
Space group P1 (No. 1)
Symmetry-distinct sites (fractional):
Cs 0.0000 0.0000 0.0000 [1 per cell]  8 Br 3.72-4.14
Cs 0.2089 0.4955 0.4052 [1 per cell]  8 Br 3.72-4.15
In 0.4488 0.3371 0.8488 [1 per cell]  3 Br 2.59-2.62, 1 In 2.79
In 0.7600 0.1573 0.5563 [1 per cell]  3 Br 2.59-2.62, 1 In 2.79
Br 0.0838 0.4771 0.8494 [1 per cell]  1 In 2.61
Br 0.1249 0.0169 0.5558 [1 per cell]  1 In 2.61
Br 0.4329 0.1145 0.0645 [1 per cell]  1 In 2.62
Br 0.4639 0.6120 0.9923 [1 per cell]  1 In 2.59
Br 0.7451 0.8827 0.4119 [1 per cell]  1 In 2.59
Br 0.7760 0.3804 0.3409 [1 per cell]  1 In 2.62

---

Entry 4:
First-principles (PBE) data for an optimized crystal structure of Cs2In2Br5, as listed in Alexandria.

Results
Calculated volume in Å³/f.u.: 397.79
>>>

Dirge of the Beloved

I’ll not rejoice when Ishobeth’s beheaded      I will mourn his great loss and his betrayal Though his father pursued and tormented me      I will remember his brother as my friend Though his hand held claim to my inheritance      His sister was my first beautiful betrothed His scepter is my burden not my birthright      And his family I will shelter and protect I’ll mourn the loss of Ishobeth my brother      And portray the heart of God as I protect I will not rejoice when Ishobeth is dead copyright ©2014 Mitchell Malloy ( )